## Request
Could you quote only the last part of the lines below, starting with the line that has "0.44 0.72"?

## Excerpt
+++
1.
The following is a quantum chemistry calculation of 2 unconnected molecules or ions with the total composition C6H12N2 in a non-equilibrium geometry, from the OMol25 dataset.

HOMO-LUMO gap   0.3261 Eh
Electronic energy   -9394.61679 eV
Strongest force on any atom   1.2 eV/Å
Multiplicity   1
E_HOMO   -8.015 eV
Net charge   0
E_LUMO   0.0316 Ha
ΔE to the lowest compared entry with this formula, charge and spin   51.49 kcal/mol

Each atom is followed by the atoms it is bonded to, with distances in Å.
Element x y z (Å)
1 C 0.15 -2.17 -1.48  C2 1.332, H6 1.075, H7 1.075
2 C 0.32 -1.38 -0.42  C1 1.332, C3 1.503, N4 1.390
3 C 0.24 -1.90 0.99  C2 1.503, H8 1.091, H9 1.086, H10 1.090
4 N 0.69 -0.04 -0.49  C2 1.390, C5 1.434, H11 1.024
5 C 0.44 0.72 -1.67  N4 1.434, H12 1.089, H13 1.099, H14 1.123
6 H -0.04 -3.22 -1.35  C1 1.075
7 H 0.21 -1.81 -2.49  C1 1.075
8 H -0.55 -1.39 1.54  C3 1.091
9 H 0.06 -2.97 1.00  C3 1.086
10 H 1.18 -1.70 1.52  C3 1.090
11 H 0.44 0.48 0.36  N4 1.024
12 H 1.12 0.39 -2.46  C5 1.089
13 H -0.59 0.66 -2.06  C5 1.099
14 H 0.58 1.80 -1.38  C5 1.123
15 C -1.03 2.59 0.61  C16 1.306, H18 1.075, H19 1.073
16 C -0.62 1.89 1.64  C15 1.306, N17 1.216
17 N -0.40 1.36 2.71  C16 1.216, H20 1.011
18 H -1.71 2.15 -0.10  C15 1.075
19 H -0.97 3.66 0.62  C15 1.073
20 H 0.47 0.89 2.91  N17 1.011


2.
The following is a quantum chemistry calculation of a single C6H12N2 molecule, from the OMol25 dataset.

HOMO-LUMO gap   0.3211 Eh
Electronic energy   -9396.40260 eV
Strongest force on any atom   0.7 eV/Å
Multiplicity   1
E_HOMO   -7.749 eV
Net charge   0
E_LUMO   0.0363 Ha
ΔE to the lowest compared entry with this formula, charge and spin   10.31 kcal/mol

Each atom is followed by the atoms it is bonded to, with distances in Å.
Element x y z (Å)
1 C -0.08 0.14 1.75  C2 1.544, H9 1.081, H10 1.083, H11 1.090
2 C -0.53 -0.18 0.31  C1 1.544, C3 1.532, N4 1.454, N8 1.460
3 C -2.00 -0.58 0.31  C2 1.532, H12 1.090, H13 1.094, H14 1.093
4 N 0.27 -1.29 -0.18  C2 1.454, C5 1.375, H15 1.006
5 C 1.31 -1.05 -1.05  N4 1.375, C6 1.329, H16 1.084
6 C 1.74 0.16 -1.36  C5 1.329, C7 1.498, H17 1.074
7 C 0.98 1.35 -0.87  C6 1.498, N8 1.452, H18 1.111, H19 1.092
8 N -0.39 0.96 -0.60  C2 1.460, C7 1.452, H20 1.014
9 H 0.99 0.31 1.78  C1 1.081
10 H -0.30 -0.70 2.40  C1 1.083
11 H -0.59 1.02 2.13  C1 1.090
12 H -2.35 -0.70 -0.71  C3 1.090
13 H -2.13 -1.52 0.85  C3 1.094
14 H -2.62 0.18 0.80  C3 1.093
15 H -0.24 -2.15 -0.32  N4 1.006
16 H 1.80 -1.95 -1.41  C5 1.084
17 H 2.60 0.32 -1.98  C6 1.074
18 H 1.49 1.81 0.00  C7 1.111
19 H 0.94 2.12 -1.65  C7 1.092
20 H -0.92 1.74 -0.22  N8 1.014


3.
The following is a quantum chemistry calculation of 2 unconnected molecules or ions with the total composition C6H12N2 in a non-equilibrium geometry, from the OMol25 dataset.

HOMO-LUMO gap   0.3528 Eh
Electronic energy   -9395.97182 eV
Strongest force on any atom   3.3 eV/Å
Multiplicity   1
E_HOMO   -8.700 eV
Net charge   0
E_LUMO   0.0331 Ha
ΔE to the lowest compared entry with this formula, charge and spin   20.25 kcal/mol

Each atom is followed by the atoms it is bonded to, with distances in Å.
Element x y z (Å)
1 C 2.45 1.38 -1.11  C2 1.478, H7 1.069, H8 1.111, H9 1.078
2 C 1.28 1.57 -0.23  C1 1.478, C3 1.366, N6 1.404
3 C 1.19 1.85 1.11  C2 1.366, N4 1.391, H10 1.093
4 N -0.16 2.05 1.39  C3 1.391, C5 1.385, H11 1.006
5 C -0.83 1.64 0.25  N4 1.385, N6 1.303, H12 1.079
6 N -0.01 1.25 -0.68  C2 1.404, C5 1.303
7 H 3.19 2.09 -0.79  C1 1.069
8 H 2.08 1.77 -2.08  C1 1.111
9 H 2.85 0.39 -1.28  C1 1.078
10 H 2.09 2.18 1.62  C3 1.093
11 H -0.64 2.07 2.27  N4 1.006
12 H -1.91 1.63 0.17  C5 1.079
13 C -2.14 -2.43 0.25  C14 1.514, H15 1.145, H16 1.087, H17 1.087
14 C -0.78 -2.46 -0.41  C13 1.514, H18 1.082, H19 1.098, H20 1.171
15 H -2.74 -3.32 -0.16  C13 1.145
16 H -2.12 -2.65 1.31  C13 1.087
17 H -2.65 -1.50 0.03  C13 1.087
18 H -0.68 -1.79 -1.25  C14 1.082
19 H -0.07 -2.24 0.39  C14 1.098
20 H -0.39 -3.49 -0.81  C14 1.171

* * * * *

{
  "formula": "C7H17NO2",
+++

## Worked solution
5 C 0.44 0.72 -1.67  N4 1.434, H12 1.089, H13 1.099, H14 1.123
6 H -0.04 -3.22 -1.35  C1 1.075
7 H 0.21 -1.81 -2.49  C1 1.075
8 H -0.55 -1.39 1.54  C3 1.091
9 H 0.06 -2.97 1.00  C3 1.086
10 H 1.18 -1.70 1.52  C3 1.090
11 H 0.44 0.48 0.36  N4 1.024
12 H 1.12 0.39 -2.46  C5 1.089
13 H -0.59 0.66 -2.06  C5 1.099
14 H 0.58 1.80 -1.38  C5 1.123
15 C -1.03 2.59 0.61  C16 1.306, H18 1.075, H19 1.073
16 C -0.62 1.89 1.64  C15 1.306, N17 1.216
17 N -0.40 1.36 2.71  C16 1.216, H20 1.011
18 H -1.71 2.15 -0.10  C15 1.075
19 H -0.97 3.66 0.62  C15 1.073
20 H 0.47 0.89 2.91  N17 1.011


2.
The following is a quantum chemistry calculation of a single C6H12N2 molecule, from the OMol25 dataset.

HOMO-LUMO gap   0.3211 Eh
Electronic energy   -9396.40260 eV
Strongest force on any atom   0.7 eV/Å
Multiplicity   1
E_HOMO   -7.749 eV
Net charge   0
E_LUMO   0.0363 Ha
ΔE to the lowest compared entry with this formula, charge and spin   10.31 kcal/mol

Each atom is followed by the atoms it is bonded to, with distances in Å.
Element x y z (Å)
1 C -0.08 0.14 1.75  C2 1.544, H9 1.081, H10 1.083, H11 1.090
2 C -0.53 -0.18 0.31  C1 1.544, C3 1.532, N4 1.454, N8 1.460
3 C -2.00 -0.58 0.31  C2 1.532, H12 1.090, H13 1.094, H14 1.093
4 N 0.27 -1.29 -0.18  C2 1.454, C5 1.375, H15 1.006
5 C 1.31 -1.05 -1.05  N4 1.375, C6 1.329, H16 1.084
6 C 1.74 0.16 -1.36  C5 1.329, C7 1.498, H17 1.074
7 C 0.98 1.35 -0.87  C6 1.498, N8 1.452, H18 1.111, H19 1.092
8 N -0.39 0.96 -0.60  C2 1.460, C7 1.452, H20 1.014
9 H 0.99 0.31 1.78  C1 1.081
10 H -0.30 -0.70 2.40  C1 1.083
11 H -0.59 1.02 2.13  C1 1.090
12 H -2.35 -0.70 -0.71  C3 1.090
13 H -2.13 -1.52 0.85  C3 1.094
14 H -2.62 0.18 0.80  C3 1.093
15 H -0.24 -2.15 -0.32  N4 1.006
16 H 1.80 -1.95 -1.41  C5 1.084
17 H 2.60 0.32 -1.98  C6 1.074
18 H 1.49 1.81 0.00  C7 1.111
19 H 0.94 2.12 -1.65  C7 1.092
20 H -0.92 1.74 -0.22  N8 1.014


3.
The following is a quantum chemistry calculation of 2 unconnected molecules or ions with the total composition C6H12N2 in a non-equilibrium geometry, from the OMol25 dataset.

HOMO-LUMO gap   0.3528 Eh
Electronic energy   -9395.97182 eV
Strongest force on any atom   3.3 eV/Å
Multiplicity   1
E_HOMO   -8.700 eV
Net charge   0
E_LUMO   0.0331 Ha
ΔE to the lowest compared entry with this formula, charge and spin   20.25 kcal/mol

Each atom is followed by the atoms it is bonded to, with distances in Å.
Element x y z (Å)
1 C 2.45 1.38 -1.11  C2 1.478, H7 1.069, H8 1.111, H9 1.078
2 C 1.28 1.57 -0.23  C1 1.478, C3 1.366, N6 1.404
3 C 1.19 1.85 1.11  C2 1.366, N4 1.391, H10 1.093
4 N -0.16 2.05 1.39  C3 1.391, C5 1.385, H11 1.006
5 C -0.83 1.64 0.25  N4 1.385, N6 1.303, H12 1.079
6 N -0.01 1.25 -0.68  C2 1.404, C5 1.303
7 H 3.19 2.09 -0.79  C1 1.069
8 H 2.08 1.77 -2.08  C1 1.111
9 H 2.85 0.39 -1.28  C1 1.078
10 H 2.09 2.18 1.62  C3 1.093
11 H -0.64 2.07 2.27  N4 1.006
12 H -1.91 1.63 0.17  C5 1.079
13 C -2.14 -2.43 0.25  C14 1.514, H15 1.145, H16 1.087, H17 1.087
14 C -0.78 -2.46 -0.41  C13 1.514, H18 1.082, H19 1.098, H20 1.171
15 H -2.74 -3.32 -0.16  C13 1.145
16 H -2.12 -2.65 1.31  C13 1.087
17 H -2.65 -1.50 0.03  C13 1.087
18 H -0.68 -1.79 -1.25  C14 1.082
19 H -0.07 -2.24 0.39  C14 1.098
20 H -0.39 -3.49 -0.81  C14 1.171

* * * * *

{
  "formula": "C7H17NO2",